
Showing posts from July, 2020

_Here the entry breaks off for molecular data_
- - -
Entry 1:
The following is a DFT calculation (wB97M-V/def2-TZVPD) of a single C4H9NO2 molecule.

The geometry in XYZ format:
```
16
Properties=species:S:1:pos:R:3:forces:R:3
C 0.842001 1.476407 0.785631 0.046 0.017 0.048
C 0.920811 0.151920 0.034814 -0.282 0.213 -0.145
O 1.957034 -0.677664 0.534728 0.254 0.071 0.012
C -0.373074 -0.652654 0.175574 -0.040 -0.056 0.089
C -1.537752 0.101265 -0.440853 -0.055 0.118 0.048
O -2.344529 0.734760 0.217445 0.221 -0.239 -0.209
N -1.565836 0.095774 -1.806592 -0.104 -0.012 -0.021
H 0.882523 1.281791 1.862566 -0.029 0.029 -0.121
H -0.095795 1.999008 0.573419 0.169 -0.046 -0.014
H 1.674710 2.135357 0.513604 -0.087 -0.104 0.060
H 1.089799 0.350952 -1.037257 -0.001 -0.027 0.171
H 2.757669 -0.142134 0.599745 -0.085 -0.139 0.012
H -0.235004 -1.632623 -0.296338 -0.027 0.151 0.031
H -0.590559 -0.805793 1.235891 0.017 0.024 -0.142
H -2.320427 0.583229 -2.264267 0.077 -0.078 0.050
H -0.976185 -0.509056 -2.354147 -0.075 0.079 0.129
```
Forces are in eV/Å.

DFT total energy in eV: -9879.5997
LUMO level in eV: 0.8
SMILES string: C[C@@H](O)CC(N)=O
Gap between HOMO and LUMO in eV: 10.686
HOMO energy in eV: -9.89
Energy relative to the best compared isomer or geometry (same formula, charge and spin) in kJ/mol: 44.47

=====

Entry 2:
The following is a DFT calculation (wB97M-V/def2-TZVPD) of a single C4H6N2OS molecule.

The geometry in XYZ format:
```
14
Properties=species:S:1:pos:R:3:forces:R:3
C 0.232260 2.007392 -0.014551 -0.116 0.214 0.066
C -0.692978 -0.383826 -0.009087 0.157 0.018 0.124
C -0.103532 -1.582729 0.009181 -0.035 -0.151 0.032
C 1.546945 -0.093074 -0.007882 0.181 0.124 0.099
H 1.062982 2.433080 -0.574290 0.010 -0.060 0.034
H 0.266536 2.393996 1.010027 0.050 -0.064 -0.092
H -0.708169 2.315636 -0.472368 0.067 -0.084 0.019
H -2.525188 0.429828 1.210791 0.082 -0.059 -0.139
H -0.489952 -2.587499 0.025430 -0.037 0.135 -0.001
H 3.436854 -0.267226 0.045459 -0.267 0.147 0.001
N 0.336766 0.570823 -0.048286 0.340 -0.370 -0.023
N 2.698225 0.435890 0.032573 -0.100 -0.087 -0.061
O 1.270764 -1.444634 0.002763 -0.375 0.290 -0.089
S -2.396893 0.006606 -0.063945 0.042 -0.052 0.030
```
Forces are in eV/Å.

DFT total energy in eV: -20107.5281
LUMO level in eV: 0.5
SMILES string: [H]/N=c1\occ(S)n1C
Gap between HOMO and LUMO in eV: 8.588
HOMO energy in eV: -8.04
Energy relative to the best compared isomer or geometry (same formula, charge and spin) in kJ/mol: 174.97

----------

1.
This record from the Open Molecules 2025 dataset describes 13 unconnected molecules or ions with the total composition H24O16S in a non-equilibrium geometry. The level of theory is ωB97M-V with the def2-TZVPD basis set.

Geometry (Å):
S: 12.1470 44.7530 29.8710
O: 12.7960 45.2390 31.0380
O: 12.5120 43.4010 29.3930
O: 10.7140 44.6350 30.0630
O: 12.4260 45.6170 28.7150
O: 14.9070 46.6490 30.8970
H: 14.1170 46.0180 30.9600
H: 15.1080 46.5630 29.9140
O: 8.6150 45.3610 28.6160
H: 9.5440 44.9360 29.0900
H: 9.0730 46.0480 28.1490
O: 9.0630 42.5060 30.4130
- - -

Ertugrul quotes bangla

আমি মরে যাবো কিন্তু আমার উদ্দেশ্য মরে যাবে না। কোন গাছকে পূজা করোনা, এটা ক্ষয়ে যায় কোন মানুষে নির্ভর করোনা, সে মরে যায়।    আল্লাহ যার সাথে আছেন তাকে অনুতাপ করতে নেই। Thanks for readin!  

Top Ten Inspiring Quotes for your Mental health

-- What comes next are data records, not part of the page --
Entry 1:

1. Help people even ehen you know they can't help you back.    2.Learn to wait there’s always time for everything.    3. Don't treat people as bad as they are, treat them as good as you are. 4. Accept what is. Let go of what was. And have faith in what will be. 5. Life tip, stop expecting.  6. Freedom is a state of mind.  7. If someone is ok with losing you they never really cared for you.   8. Children will follow your example more then your advice.      9. If you can't find a way creat one!  10. Be the change you want to see in the Society.    Thanks for coming 💖   

Top 10 Islamic quotes must read

Top 10 Islamic Quotes which  will show you the right path : 1. Rush TO prayer.  Don’t rush THROUGH prayer. 2. Keep Smiling :) Perhaps your smile will renew hope for someone who's about to lose it! #Sunnah 3.Rebuking others without knowing them or anything about them and their struggles is easy. You are not here to judge people. Offer a helping hand, support, kindness and encouragement instead. 4.Before you reject someone's advice and assistance, just consider for a moment that they may have genuinely wanted to help you. 5.Worrying will never change the outcome.  Prayer will! 6.Sometimes you hate your life while some people dream of having what you take for granted.  Always thank Allah for his countless blessings! 7.Don’t be a person who turns to Allah only when life isn’t going well.  Remember, the goodness of this life is also a test from Allah. 8.Beware of the supplication of the oppressed, for there is no barrier between it and Allah. - Sahih al Bukhari 9.Decisions become ea

Here the page breaks off for records of molecules =
/*
[1]
A molecular structure, C4H3IMoNO2S5 at a distorted geometry. Source: OMol25; level of theory: ωB97M-V/def2-TZVPD.

Last column: Löwdin spin population.
Cartesian coordinates (Å):
I (0.98988, 6.73227, -2.07276)  0.00
Mo (-1.22017, -1.49306, -0.82164)  1.89
S (0.21842, -0.68841, 0.70520)  -0.02
S (0.20702, -4.23566, 3.16914)  0.00
S (1.89988, -3.53214, 5.50119)  0.00
S (-1.17908, -3.59213, 0.25411)  0.05
S (1.34187, -1.58135, 3.31756)  0.01
O (-2.27672, -1.44968, -2.76918)  0.02
O (-1.32272, 0.49939, -2.37943)  0.03
N (-1.83827, -0.22098, -3.13077)  0.02
C (-0.06297, -3.17578, 1.70628)  0.00
C (0.41663, -1.95108, 1.90102)  0.01
C (0.45398, 4.69929, -2.29472)  0.00
C (1.19274, -3.16431, 4.09506)  0.00
H (0.58802, 4.76069, -3.38672)  0.00
H (-0.56249, 4.27558, -2.05789)  0.00
H (1.15397, 4.11737, -1.73644)  0.00

- Charge: -1
- E_HOMO (alpha / beta): -4.34 / -3.92 eV
- Multiplicity: 3

=====

[2]
C11H14 in the gas phase at a distorted geometry. Source: OMol25; level of theory: ωB97M-V/def2-TZVPD.

Last column: Löwdin charge in e.
Cartesian coordinates (Å):
C (1.08151, 0.78941, -0.22907)  -0.11
C (-1.15364, -1.35852, -1.30097)  -0.03
C (-0.61809, -0.46117, -0.20103)  -0.49
C (3.24518, -0.85070, 0.09757)  -0.05
C (2.27979, 1.39380, -0.23532)  -0.04
C (1.94411, -1.42276, 0.22505)  0.00
C (3.37842, 0.51919, -0.12457)  -0.08
C (-1.41216, 2.08012, 0.36537)  -0.03
C (0.89560, -0.57425, 0.01845)  -0.15
C (-1.27166, -0.83769, 1.16965)  -0.03
C (-0.53668, 1.03104, -0.49315)  -0.16
H (-0.92610, 2.35110, 1.29134)  0.07
H (-1.43034, -2.35166, -0.82035)  0.10
H (-0.77538, -1.89521, 1.31288)  0.12
H (-1.98916, -0.94352, -1.80400)  0.06
H (-1.51282, 2.94060, -0.22517)  0.04
H (-0.50606, -1.54570, -2.13213)  0.08
H (4.01409, -1.49754, 0.36370)  0.08
H (-2.28735, -1.14073, 1.12835)  0.05
H (4.35556, 0.87924, 0.00658)  0.08
H (-0.67758, 1.27671, -1.57585)  0.14
H (1.78380, -2.36801, 0.54958)  0.07
H (-1.05782, -0.05191, 1.92890)  0.09
H (-2.32773, 1.44455, 0.43950)  0.09
H (2.28871, 2.47918, -0.36918)  0.12

- Charge: 0
- E_HOMO: -8.82 eV
- Multiplicity: 1

=====

[3]
A molecular structure, C5H6O4Tm at a distorted geometry. Source: OMol25; level of theory: ωB97M-V/def2-TZVPD.

Last column: Löwdin spin population.
Cartesian coordinates (Å):
Tm (-2.78619, 0.86619, 0.76859)  1.02
O (0.42083, -1.66353, -0.01086)  0.01
O (-0.18197, -0.88817, -1.99607)  0.00
O (0.57849, 0.55022, -0.40875)  0.09
O (-0.97953, 0.81020, 1.85542)  0.22
C (0.50515, -3.95459, 0.43535)  0.00
C (0.30830, 0.91799, 1.89336)  0.17
C (1.14949, 0.84696, 0.82942)  0.47
C (0.23779, -0.67757, -0.80323)  0.02
C (0.63042, -2.98341, -0.45084)  0.00
H (2.22970, 0.94211, 0.86803)  0.01
H (0.64961, -4.98187, 0.10561)  0.00
H (0.24059, -3.75579, 1.47322)  0.00
H (0.21798, -0.30057, -2.65717)  0.00
H (0.89320, -3.08076, -1.50112)  0.00
H (0.77495, 1.14280, 2.86114)  0.00

- Charge: +3
- E_HOMO (alpha / beta): -20.71 / -20.71 eV
- Multiplicity: 3

=====

[4]
*/

Ertugrul Gazi Bangla Quotes

Bangla Quotes for you! যারা বলবে আমাদের জ্ঞান পরিপূর্ণ নয়,তাদের বলবে আমাদের চেষ্টা পরিপূর্ণ।   যারা বলবে আমাদের ক্ক্ষমতা পরিপূর্ণ নয়,আমরা তাদেরকে বলবো আমাদের ঈমান পরিপূর্ণ।     

Dr Bilal Philips quotes

*** Anger can be a dangerous thing.  It can destroy relationships and harm many.  Learn to control your anger, before it controls you.

Ertugrul Gazi Quotes part -1

12 Inspirational Ertugrul Bey Quotes On Success By  Rafsan . 1.  “The seed which is not willing to let its shell rot, can not bear fruits.” Ertugrul Bey 2.  “I am only the enemy of oppression and betrayal.” Ertugrul Bey 3.  “ Patience   is bitter, but its fruit is sweet.” Ertugrul Bey 4.  “The most powerful conqueror on Earth is justice. ” Ertugrul Bey 5. “What is in our hearts, we will reveal by our words and our deeds.” Ertugrul Bey 6.  “This gold was used to bribe the weak among us.” Ertugrul Bey 7.  “If we are thankful for what we have, our hearts will find peace.” Ertugrul Bey 8.  “The strength of our enemy is a sign of our  bravery .” Ertugrul Bey  9 .  “Existence is a school. Everyone is a student. God is the only teacher.” Ertugrul Bey 10. “Only those who can dream big can walk forward in the road of victory.” Ertugrul Bey 11.  “Those who are on the side of the Almighty He will never leave them alone.” Ertugrul Bey 12.  “We All came from God, and we will return to Him.” Ertugru